To do >
Count the lines below that contain the word "at" and give the number alone.

Listing >
Below is a relaxed structure of Li5Cr3P4O16, with properties calculated at the PBE with a Hubbard U level.

- Total magnetic moment: 0.39 μB per atom
- Energy with MP2020 corrections: -7.610 eV/atom
- Theoretical density: 3.0 g/cm3

a = 5.012 Å, b = 8.018 Å, c = 8.588 Å
α = 110.01°, β = 90.56°, γ = 104.93°
Space group P1 (No. 1)
Inequivalent atoms, fractional coordinates:
Li 0.000 0.000 0.000 (multiplicity 1)
Li 0.064 0.122 0.396 (multiplicity 1)
Li 0.433 0.861 0.392 (multiplicity 1)
Li 0.597 0.072 0.808 (multiplicity 1)
Li 0.664 0.200 0.210 (multiplicity 1)
Cr 0.242 0.350 0.825 (multiplicity 1)
Cr 0.334 0.606 0.602 (multiplicity 1)
Cr 0.835 0.609 0.114 (multiplicity 1)
P 0.245 0.406 0.202 (multiplicity 1)
P 0.421 0.799 0.014 (multiplicity 1)
P 0.704 0.307 0.568 (multiplicity 1)
P 0.961 0.895 0.633 (multiplicity 1)
O 0.034 0.370 0.594 (multiplicity 1)
O 0.043 0.079 0.793 (multiplicity 1)
O 0.072 0.926 0.477 (multiplicity 1)
O 0.075 0.757 0.682 (multiplicity 1)
O 0.086 0.434 0.057 (multiplicity 1)
O 0.089 0.218 0.213 (multiplicity 1)
O 0.122 0.806 0.055 (multiplicity 1)
O 0.242 0.571 0.361 (multiplicity 1)
O 0.417 0.630 0.848 (multiplicity 1)
O 0.540 0.398 0.153 (multiplicity 1)
O 0.572 0.771 0.157 (multiplicity 1)
O 0.576 0.981 0.993 (multiplicity 1)
O 0.588 0.450 0.529 (multiplicity 1)
O 0.601 0.278 0.730 (multiplicity 1)
O 0.625 0.127 0.414 (multiplicity 1)
O 0.634 0.839 0.614 (multiplicity 1)

=====

(A)
TlFeO2, relaxed, DFT PBE+U; mass density = 6056 kg/m³
1.0
5.298 -3.042 0.000
5.298 3.042 0.000
3.552 0.000 4.971
O Tl Fe
4 2 2
Direct
0.500 0.500 0.000
0.000 0.500 0.500
0.500 0.000 0.500
0.500 0.500 0.500
0.878 0.878 0.878
0.122 0.122 0.122
0.375 0.375 0.375
0.625 0.625 0.625



(B)
TlFeO2, relaxed, DFT PBE+U; mass density = 5864 kg/m³
1.0
5.660 -2.977 0.000
5.660 2.977 0.000
4.094 0.000 4.912
Fe Tl O
2 2 4
Direct
0.384 0.384 0.384
0.616 0.616 0.616
0.797 0.797 0.797
0.203 0.203 0.203
0.500 0.000 0.500
0.000 0.500 0.500
0.500 0.500 0.000
0.500 0.500 0.500



Stability summary - winner: (B); margin: 0.054 eV/atom.



(A)
YFe2O4, relaxed, DFT PBE+U; mass density = 4803 kg/m³
1.0
-1.257 -0.490 3.253
-0.633 -8.748 0.459
5.668 0.357 2.193
Fe Y O
4 2 8
Direct
0.683 0.645 0.106
0.179 0.640 0.614
0.817 0.355 0.394
0.321 0.360 0.886
0.993 0.016 0.005
0.507 0.984 0.495
0.307 0.395 0.572
0.193 0.604 0.928
0.936 0.116 0.365
0.816 0.373 0.051
0.565 0.884 0.136
0.684 0.627 0.449
0.432 0.133 0.840
0.068 0.867 0.660



(B)
YFe2O4, relaxed, DFT PBE+U; mass density = 4798 kg/m³
1.0
-1.630 -3.024 0.699
3.563 0.049 8.037
-5.257 3.058 0.701
O Fe Y
8 4 2
Direct
0.504 0.611 0.383
0.497 0.389 0.618
0.497 0.869 0.790
0.503 0.132 0.210
0.997 0.384 0.141
0.991 0.881 0.289
0.008 0.119 0.710
0.003 0.616 0.859
0.499 0.362 0.292
0.991 0.643 0.209
0.501 0.638 0.708
0.010 0.357 0.791
0.000 0.000 0.000
0.500 0.000 0.500



Stability summary - winner: (A); margin: 0.016 eV/atom.



(A)
YFe2O4, relaxed, DFT PBE+U; mass density = 4860 kg/m³
1.0
4.921 3.855 0.990
-2.793 1.983 5.322
1.229 -6.134 -0.955
O Fe Y
8 4 2
Direct
0.243 0.244 0.500
0.256 0.757 0.499
0.243 0.743 0.000
0.757 0.257 0.000
0.757 0.757 0.001
0.757 0.756 0.500
0.744 0.243 0.501
0.243 0.243 0.999
0.626 0.876 0.750
0.374 0.124 0.250
0.000 0.500 0.000
0.000 0.000 0.500
0.500 0.500 0.000
0.000 0.500 0.500



(B)
YFe2O4, relaxed, DFT PBE+U; mass density = 4890 kg/m³
1.0
0.000 4.479 4.479
4.479 0.000 4.479
4.479 4.479 0.000
O Fe Y
8 4 2
Direct
0.361 0.918 0.361
0.361 0.361 0.361
0.889 0.332 0.889
0.332 0.889 0.889
0.918 0.361 0.361
0.889 0.889 0.889
0.361 0.361 0.918
0.889 0.889 0.332
0.625 0.125 0.125
0.125 0.125 0.125
0.125 0.625 0.125
0.125 0.125 0.625
0.750 0.750 0.750
0.500 0.500 0.500



Stability summary - winner: (A); margin: 0.094 eV/atom.



(A)
YFe2O4, relaxed, DFT PBE+U; mass density = 4803 kg/m³
1.0
3.270 1.359 -0.074
0.661 3.124 1.537
4.923 -6.355 14.943
O Y Fe
8 2 4
Direct
0.354 0.353 0.937
0.562 0.562 0.307
0.438 0.438 0.693
0.645 0.645 0.063
0.145 0.145 0.563
0.065 0.068 0.807

Result >
1